Mental health conditions, including depression, are on the rise in America today. Depression is a debilitating condition that can have serious negative effects on a person’s life. But is depression a qualifying condition for a handicap parking permit? Let’s investigate.
Who Qualifies For A Handicap Parking Permit?
Handicap parking permits are available to any person, or caregiver to a person, who has a disability that reduces their mobility and makes traveling by vehicle or public transport difficult or impossible.
A handicap permit can be used by its disabled holder in any vehicle in which they travel. If a caregiver or organization holds a handicap permit, it can only be used when a disabled person is traveling in the vehicle.
Are The Qualifying Conditions For A Handicap Permit The Same In Every State?
The qualifying conditions for a handicap permit are not the same in every state. Each state has its own list of qualifying conditions. However, the list is very similar in all states, and each state recognizes handicap permits issued by all other states.

What comes next are records of molecules, not part of the article =
........
{"formula": "C31H48IrO3P2", "method": "the ωB97M-V functional and the def2-TZVPD basis", "gap_ev": [5.48, 4.91], "lumo_ha": [-0.07277, -0.20468], "multiplicity": 5, "e_homo_ev": [-7.46, -10.48], "e_tot_ha": -2222.42600, "total_charge": 1, "species": ["H", "H", "H", "C", "H", "C", "H", "C", "C", "C", "H", "H", "H", "H", "H", "C", "H", "C", "H", "C", "H", "C", "C", "H", "Ir", "C", "H", "C", "C", "C", "H", "H", "H", "C", "H", "O", "H", "C", "H", "H", "H", "O", "H", "C", "H", "C", "P", "H", "H", "C", "C", "H", "C", "H", "C", "H", "H", "H", "H", "C", "H", "H", "C", "C", "H", "H", "C", "H", "H", "O", "H", "H", "H", "H", "H", "C", "C", "C", "C", "C", "H", "H", "P", "H", "H"], "coordinates": [[2.33606, 3.35117, -0.85314], [1.28432, 3.20325, 2.82979], [-2.37987, 3.54420, -5.01826], [2.33538, 3.32256, 0.23538], [-0.97091, 2.81676, 2.61054], [0.68253, -1.29037, -2.00176], [1.18101, -4.87095, 5.53756], [-1.41427, 2.38881, 1.70445], [-1.75353, 0.05251, -1.00647], [1.35235, -5.02322, 4.46900], [-5.30605, 2.86215, -4.49272], [2.00672, -7.06391, 4.70051], [1.38026, 1.46987, -2.82220], [3.96580, -2.24321, 1.25780], [-3.09768, -0.07322, 0.71192], [1.11514, -3.95984, 3.56543], [0.60756, -2.13345, -1.29612], [1.17919, -2.98494, 1.18111], [-4.15944, 1.79564, -0.97112], [-2.68385, 1.44656, -4.99828], [-5.45276, 1.03252, -4.71846], [-3.22047, 2.84281, -5.13674], [2.06729, -6.41904, 2.63485], [-6.09919, 0.66052, -2.43013], [1.04961, 0.46883, 0.68903], [4.38728, -1.35995, 0.75941], [-5.18339, -0.65909, -4.32038], [3.05734, 0.25221, 2.27604], [-5.01145, 0.62193, -2.61933], [0.38893, 1.59461, -2.37410], [-4.42215, 4.36169, -4.23840], [0.13637, -1.49499, -2.93429], [-0.36793, 1.61851, -3.16778], [-1.12419, -0.01602, 3.25220], [-2.23453, 0.99390, -1.31233], [0.71942, -1.87315, 1.60059], [2.44456, -7.37045, 2.26137], [2.36553, 1.51215, 2.11606], [-0.50698, 0.57506, 3.94063], [1.25797, 1.79661, 3.92253], [-2.50541, 2.47173, 1.76454], [1.54427, -3.25386, 0.01086], [-3.65481, 3.82796, -2.15176], [1.33027, -4.12551, 2.18039], [1.39399, 3.72491, 0.61244], [3.74853, 0.88163, -1.34888], [-0.97197, 0.63828, 1.59398], [3.14572, 3.96438, 0.59871], [3.15542, -1.52696, 3.44530], [-3.37706, 0.37691, -4.58944], [1.82357, -6.24682, 4.00075], [0.60957, -2.81341, 5.00328], [2.53417, 1.93131, 0.72603], [-2.17351, 0.03123, 3.58056], [-4.81006, 0.36180, -4.13456], [-3.60503, 3.00492, -6.15997], [4.83282, 1.05832, -1.33480], [4.43443, -1.57418, -0.31441], [-2.11219, -0.72181, -1.70127], [3.22668, 0.85099, 0.04522], [4.26099, -0.23558, 3.96291], [-1.87003, -1.35484, 0.63392], [3.25401, -0.44116, 3.56786], [3.57084, -0.15017, 1.02587], [2.03426, -5.48350, 0.68462], [2.71757, 2.78442, 3.78169], [1.82891, -5.36938, 1.74508], [1.74666, -1.15551, -2.21088], [-4.64117, -0.25975, -2.06971], [0.73912, -2.74363, 4.04334], [5.41222, -1.21812, 1.13550], [0.36794, 2.54094, -1.82431], [3.57495, -0.07562, -1.85377], [3.28212, 1.68597, -1.91839], [-0.76164, -1.05282, 3.27992], [-4.34318, 3.26527, -4.15380], [-2.05790, -0.28803, 0.44315], [-4.07475, 2.97773, -2.70475], [1.86859, 2.37411, 3.22492], [-4.34999, 1.84250, -2.05052], [-1.04343, 2.94472, 0.83905], [-1.66037, 1.31547, -5.36826], [0.05709, 0.21291, -1.26618], [2.51778, -0.10958, 4.30838], [-2.91199, -0.61720, -4.62678]]}
........
Is Depression A Disability?
Depression can sometimes be considered a disability under the law if it is severe and debilitating enough. Under the Americans with Disabilities Act (ADA), depression is considered a psychiatric disability.
The ADA defines a disability as a physical or mental impairment that substantially limits a major life activity. It considers depression to be a significant mood disorder that’s known to interfere with daily activities, but depression must substantially limit a major life activity to qualify as a disability.
Many physical disabilities that commonly necessitate handicap parking permit usage correlate with depression. It is common for people to experience depression when they first become disabled, for example. Once a newly disabled person learns to live with their disability, their depression can lessen, or go away completely.
Can You Get A Handicap Parking Permit For Mental Illness?
“Mental illness” is a very broad term that includes a large array of disparate conditions. It is defined as “a health condition that involves changes in emotion, thinking or behavior, or a combination of these”.
While no mental health condition is, in and of itself, a qualifying condition for a handicap parking permit, it is possible to qualify for a handicap permit due to physical symptoms of conditions that fall under this umbrella term, as well as for conditions that involve a mental component along with a physical component.
To get a handicap parking permit, an applicant’s mental illness would need to considerably curtail their mobility and/or ability to use public transport.
Is Depression A Qualifying Condition For A Handicap Parking Permit?
Depression is not, in and of itself, a qualifying condition for handicap parking, and it does not appear on any state’s list of qualifying conditions. However, there are some gray areas that may enable a person who suffers with depression to make a case that they should qualify for handicap parking.
Almost all states have ‘Cannot walk 200 ft without needing to stop to rest’ as a qualifying condition. And several states, including New York State, have the following qualifying condition: “Any other physical or mental impairment not previously listed which constitutes an equal degree of disability, and imposes unusual hardship in the use of public transportation and prevents the person from getting around without great difficulty.”
If a person’s depression is of a type or severity that it prevents them from walking 200 feet without needing to stop, and/or it makes using public transport unusually difficult and prevents them from getting around without great difficulty, it is possible that they may qualify for handicap parking.

What Are The Qualifying Conditions For A Handicap Parking Permit?
The qualifying conditions for a handicap parking permit are all conditions that cause limited mobility. Illnesses that do not cause limited mobility are not qualifying conditions for a handicap permit.
The most common qualifying conditions for handicap parking are:
- An inability to walk 200 feet without needing to stop to rest
- Any condition that necessitates the use of a walking aid such as a wheelchair, crutch, cane, prosthetic device.
- A heart condition classified Class III or IV by the American Heart Association
- Lung disease
- Any condition that necessitates the use of a portable oxygen tank
- Amputees
- Neurological, arthritic, or orthopedic condition that severely inhibits mobility
- Legal blindness
- Sensitivity to sunlight
- Any other physical or mental impairment not previously listed which constitutes an equal degree of disability, and imposes unusual hardship in the use of public transportation and prevents the person from getting around without great difficulty
How Do You Make A Handicap Parking Permit Application?
The easiest way to apply for a handicap parking permit is to set up an online consultation with a medical professional through Dr. Handicap. Once your condition has been verified the medical professional will fill in the relevant sections of a handicap parking application and email it to you.
Featured image by Nik Shuliahin on Unsplash